The reader should set down everything underneath without additions.

~~~
Density functional theory data (ωB97M-V with the def2-TZVPD basis set) for 13 unconnected molecules or ions with the total composition C42H118N8O18 at a distorted geometry.

Positions of all 186 atoms, in Å:
C: 3.0533 2.7531 1.8490
C: 3.9536 2.8328 3.0548
C: 3.4088 2.1693 4.2634
O: 2.2566 2.7781 4.8609
C: 2.0989 2.3222 6.2218
N: 5.2712 2.3401 2.6475
H: 2.8876 1.7003 1.6205
H: 3.4439 3.1470 0.9107
H: 2.0625 3.1659 2.0387
H: 4.0259 3.8971 3.2788
H: 4.2387 2.2183 4.9683
H: 3.2004 1.1196 4.0562
H: 2.9743 2.5011 6.8461
H: 1.7643 1.2853 6.2538
H: 1.2880 2.8120 6.7609
H: 5.8487 2.4854 3.4633
H: 5.5218 3.1569 2.1088
C: 4.6514 -4.4029 -0.9309
C: 3.6226 -5.0944 0.0379
C: 2.2402 -4.4516 0.0451
O: 2.2722 -3.0467 0.3575
C: 1.0150 -2.4383 0.3047
N: 3.4978 -6.5049 -0.3308
H: 4.2124 -4.0671 -1.8704
H: 5.5248 -5.0108 -1.1668
H: 5.0043 -3.4253 -0.6026
H: 4.1436 -4.9276 0.9807
H: 1.6449 -4.9594 0.8038
H: 1.8171 -4.5905 -0.9498
H: 1.3453 -1.4234 0.5258
H: 0.2502 -2.7729 1.0056
H: 0.6571 -2.4074 -0.7244
H: 4.4365 -6.8203 -0.5295
H: 2.9162 -6.5335 -1.1561
C: 5.6454 3.4325 -2.6305
C: 5.7958 3.1589 -1.1435
C: 5.4877 1.6429 -0.7612
O: 4.1055 1.5019 -1.1821
C: 3.7036 0.1469 -1.1095
N: 7.1663 3.5417 -0.8214
H: 5.5672 4.5104 -2.7725
H: 4.7800 2.9671 -3.1022
H: 6.3689 3.0743 -3.3628
H: 5.0506 3.6941 -0.5549
H: 5.5858 1.4821 0.3124
H: 6.1361 0.9225 -1.2599
H: 2.6310 0.1378 -1.3036
H: 3.7182 -0.3579 -0.1435
H: 4.1551 -0.4583 -1.8956
H: 7.3774 4.4248 -1.2636
H: 7.7293 3.0161 -1.4748
C: 4.0806 -1.2855 5.1107
C: 3.2130 -2.2347 4.3977
C: 1.8799 -1.6102 3.9570
O: 1.1906 -1.1723 5.1309
C: -0.1172 -0.6204 4.8480
N: 4.0618 -2.7606 3.2929
H: 5.0179 -1.8056 5.3086
H: 3.7443 -1.0520 6.1208
H: 4.3217 -0.3926 4.5340
H: 3.0557 -3.0014 5.1562
H: 1.2816 -2.3301 3.3985
H: 2.0445 -0.8658 3.1780
H: -0.7774 -1.2693 4.2725
H: -0.2132 0.3973 4.4697
H: -0.5145 -0.5739 5.8620
H: 3.5340 -3.3365 2.6528
H: 4.4070 -2.0018 2.7226
C: -1.5954 -1.6568 -5.7580
C: -1.3094 -1.2934 -4.2919
C: 0.1787 -1.6778 -4.0029
O: 0.3553 -3.0775 -4.2567
C: 1.6658 -3.4802 -4.0545
N: -1.5242 0.1063 -4.0611
H: -1.4694 -2.7389 -5.7949
H: -1.0118 -1.1217 -6.5072
H: -2.6027 -1.4490 -6.1189
H: -1.9004 -1.8446 -3.5605
H: 0.3731 -1.4786 -2.9491
H: 0.8642 -1.1627 -4.6759
H: 1.9979 -3.3432 -3.0254
H: 2.3126 -2.9975 -4.7870
H: 1.7778 -4.4874 -4.4559
H: -2.4746 0.3683 -4.2808
H: -1.4082 0.1458 -3.0586
C: -1.9146 -3.9702 -1.9119
C: -1.1190 -5.2459 -2.0942
C: -1.8373 -6.5107 -1.5140
O: -1.8692 -6.5712 -0.0696
C: -0.8381 -7.2444 0.6513
N: -0.7698 -5.4312 -3.4749
H: -1.3216 -3.0562 -1.9409
H: -2.4904 -3.8296 -0.9971
H: -2.6771 -3.8039 -2.6729
H: -0.1686 -5.1214 -1.5752
H: -1.5243 -7.4675 -1.9319
H: -2.8583 -6.4646 -1.8930
H: -1.1001 -7.3509 1.7040
H: 0.1230 -6.7415 0.5443
H: -0.6398 -8.1823 0.1324
H: -0.3269 -4.5433 -3.6634
H: -1.6556 -5.4149 -3.9600
C: -4.7627 -1.3244 -2.1743
C: -5.9067 -0.2169 -2.3281
C: -7.2603 -0.7528 -2.1260
O: -7.4971 -1.6775 -3.2122
C: -8.8169 -2.1451 -3.2993
N: -5.6192 0.8263 -1.3136
H: -3.8445 -0.7470 -2.2825
H: -4.7296 -2.1143 -2.9246
H: -4.7780 -1.7296 -1.1625
H: -5.6258 0.2090 -3.2913
H: -8.0254 0.0192 -2.2082
H: -7.3394 -1.2199 -1.1443
H: -9.0799 -2.6474 -2.3683
H: -8.9226 -2.9221 -4.0563
H: -9.5187 -1.3520 -3.5573
H: -6.2605 1.5716 -1.5441
H: -4.7009 1.1911 -1.5231
C: -3.9812 -0.3167 3.2411
C: -3.2406 -0.8509 2.0618
C: -3.7131 -2.2941 1.5840
O: -3.5172 -3.3089 2.5632
C: -3.5407 -4.6061 1.9512
N: -3.4129 -0.0369 0.8616
H: -3.3808 0.4232 3.7704
H: -4.1547 -1.1385 3.9359
H: -4.9817 0.0475 3.0078
H: -2.1837 -0.9274 2.3171
H: -3.0811 -2.4610 0.7118
H: -4.7682 -2.2186 1.3208
H: -3.3255 -5.3318 2.7356
H: -2.7770 -4.7536 1.1876
H: -4.5639 -4.7687 1.6127
H: -2.9060 0.8285 0.9806
H: -4.3845 0.2062 0.7315
C: 0.3451 3.8045 -4.2515
C: 0.9833 2.8746 -5.2074
O: 0.9176 1.4983 -4.7130
O: -1.0707 3.7266 -4.3571
H: 0.5613 4.8235 -4.5722
H: 0.6430 3.5784 -3.2277
H: 2.0279 3.1047 -5.4166
H: 0.5062 2.9057 -6.1869
H: 0.0544 1.2327 -4.3873
H: -1.4579 3.9902 -3.5191
C: -2.8898 4.5936 0.0617
~~~

Density functional theory data (ωB97M-V with the def2-TZVPD basis set) for 13 unconnected molecules or ions with the total composition C42H118N8O18 at a distorted geometry.

Positions of all 186 atoms, in Å:
C: 3.0533 2.7531 1.8490
C: 3.9536 2.8328 3.0548
C: 3.4088 2.1693 4.2634
O: 2.2566 2.7781 4.8609
C: 2.0989 2.3222 6.2218
N: 5.2712 2.3401 2.6475
H: 2.8876 1.7003 1.6205
H: 3.4439 3.1470 0.9107
H: 2.0625 3.1659 2.0387
H: 4.0259 3.8971 3.2788
H: 4.2387 2.2183 4.9683
H: 3.2004 1.1196 4.0562
H: 2.9743 2.5011 6.8461
H: 1.7643 1.2853 6.2538
H: 1.2880 2.8120 6.7609
H: 5.8487 2.4854 3.4633
H: 5.5218 3.1569 2.1088
C: 4.6514 -4.4029 -0.9309
C: 3.6226 -5.0944 0.0379
C: 2.2402 -4.4516 0.0451
O: 2.2722 -3.0467 0.3575
C: 1.0150 -2.4383 0.3047
N: 3.4978 -6.5049 -0.3308
H: 4.2124 -4.0671 -1.8704
H: 5.5248 -5.0108 -1.1668
H: 5.0043 -3.4253 -0.6026
H: 4.1436 -4.9276 0.9807
H: 1.6449 -4.9594 0.8038
H: 1.8171 -4.5905 -0.9498
H: 1.3453 -1.4234 0.5258
H: 0.2502 -2.7729 1.0056
H: 0.6571 -2.4074 -0.7244
H: 4.4365 -6.8203 -0.5295
H: 2.9162 -6.5335 -1.1561
C: 5.6454 3.4325 -2.6305
C: 5.7958 3.1589 -1.1435
C: 5.4877 1.6429 -0.7612
O: 4.1055 1.5019 -1.1821
C: 3.7036 0.1469 -1.1095
N: 7.1663 3.5417 -0.8214
H: 5.5672 4.5104 -2.7725
H: 4.7800 2.9671 -3.1022
H: 6.3689 3.0743 -3.3628
H: 5.0506 3.6941 -0.5549
H: 5.5858 1.4821 0.3124
H: 6.1361 0.9225 -1.2599
H: 2.6310 0.1378 -1.3036
H: 3.7182 -0.3579 -0.1435
H: 4.1551 -0.4583 -1.8956
H: 7.3774 4.4248 -1.2636
H: 7.7293 3.0161 -1.4748
C: 4.0806 -1.2855 5.1107
C: 3.2130 -2.2347 4.3977
C: 1.8799 -1.6102 3.9570
O: 1.1906 -1.1723 5.1309
C: -0.1172 -0.6204 4.8480
N: 4.0618 -2.7606 3.2929
H: 5.0179 -1.8056 5.3086
H: 3.7443 -1.0520 6.1208
H: 4.3217 -0.3926 4.5340
H: 3.0557 -3.0014 5.1562
H: 1.2816 -2.3301 3.3985
H: 2.0445 -0.8658 3.1780
H: -0.7774 -1.2693 4.2725
H: -0.2132 0.3973 4.4697
H: -0.5145 -0.5739 5.8620
H: 3.5340 -3.3365 2.6528
H: 4.4070 -2.0018 2.7226
C: -1.5954 -1.6568 -5.7580
C: -1.3094 -1.2934 -4.2919
C: 0.1787 -1.6778 -4.0029
O: 0.3553 -3.0775 -4.2567
C: 1.6658 -3.4802 -4.0545
N: -1.5242 0.1063 -4.0611
H: -1.4694 -2.7389 -5.7949
H: -1.0118 -1.1217 -6.5072
H: -2.6027 -1.4490 -6.1189
H: -1.9004 -1.8446 -3.5605
H: 0.3731 -1.4786 -2.9491
H: 0.8642 -1.1627 -4.6759
H: 1.9979 -3.3432 -3.0254
H: 2.3126 -2.9975 -4.7870
H: 1.7778 -4.4874 -4.4559
H: -2.4746 0.3683 -4.2808
H: -1.4082 0.1458 -3.0586
C: -1.9146 -3.9702 -1.9119
C: -1.1190 -5.2459 -2.0942
C: -1.8373 -6.5107 -1.5140
O: -1.8692 -6.5712 -0.0696
C: -0.8381 -7.2444 0.6513
N: -0.7698 -5.4312 -3.4749
H: -1.3216 -3.0562 -1.9409
H: -2.4904 -3.8296 -0.9971
H: -2.6771 -3.8039 -2.6729
H: -0.1686 -5.1214 -1.5752
H: -1.5243 -7.4675 -1.9319
H: -2.8583 -6.4646 -1.8930
H: -1.1001 -7.3509 1.7040
H: 0.1230 -6.7415 0.5443
H: -0.6398 -8.1823 0.1324
H: -0.3269 -4.5433 -3.6634
H: -1.6556 -5.4149 -3.9600
C: -4.7627 -1.3244 -2.1743
C: -5.9067 -0.2169 -2.3281
C: -7.2603 -0.7528 -2.1260
O: -7.4971 -1.6775 -3.2122
C: -8.8169 -2.1451 -3.2993
N: -5.6192 0.8263 -1.3136
H: -3.8445 -0.7470 -2.2825
H: -4.7296 -2.1143 -2.9246
H: -4.7780 -1.7296 -1.1625
H: -5.6258 0.2090 -3.2913
H: -8.0254 0.0192 -2.2082
H: -7.3394 -1.2199 -1.1443
H: -9.0799 -2.6474 -2.3683
H: -8.9226 -2.9221 -4.0563
H: -9.5187 -1.3520 -3.5573
H: -6.2605 1.5716 -1.5441
H: -4.7009 1.1911 -1.5231
C: -3.9812 -0.3167 3.2411
C: -3.2406 -0.8509 2.0618
C: -3.7131 -2.2941 1.5840
O: -3.5172 -3.3089 2.5632
C: -3.5407 -4.6061 1.9512
N: -3.4129 -0.0369 0.8616
H: -3.3808 0.4232 3.7704
H: -4.1547 -1.1385 3.9359
H: -4.9817 0.0475 3.0078
H: -2.1837 -0.9274 2.3171
H: -3.0811 -2.4610 0.7118
H: -4.7682 -2.2186 1.3208
H: -3.3255 -5.3318 2.7356
H: -2.7770 -4.7536 1.1876
H: -4.5639 -4.7687 1.6127
H: -2.9060 0.8285 0.9806
H: -4.3845 0.2062 0.7315
C: 0.3451 3.8045 -4.2515
C: 0.9833 2.8746 -5.2074
O: 0.9176 1.4983 -4.7130
O: -1.0707 3.7266 -4.3571
H: 0.5613 4.8235 -4.5722
H: 0.6430 3.5784 -3.2277
H: 2.0279 3.1047 -5.4166
H: 0.5062 2.9057 -6.1869
H: 0.0544 1.2327 -4.3873
H: -1.4579 3.9902 -3.5191
C: -2.8898 4.5936 0.0617